### Contents
┌──
1.
Here is one molecule with the formula C3H5NOS in a non-equilibrium geometry from the Open Molecules 2025 dataset. Energies are from ωB97M-V with the def2-TZVPD basis set.

Cartesian coordinates (Å):
C (1.366, -0.086, -0.147)
C (0.324, 0.972, 0.043)
C (0.321, -1.125, 0.064)
N (-0.668, -0.096, 0.363)
O (2.484, -0.018, -0.539)
S (-2.138, -0.056, -0.470)
H (0.217, 1.638, 0.918)
H (0.240, 1.826, -0.829)
H (0.130, -1.673, -0.792)
H (0.490, -1.866, 0.888)
H (-2.765, 0.484, 0.499)

Output
energy above the lowest of the compared OMol25 structures with the same formula, charge and spin	2.345	eV
lowest unoccupied orbital energy (alpha / beta)	0.84 / -2.77	eV
expectation value of S²	2.007
molar mass	103.15	g/mol
orbital gap (alpha / beta)	0.253 / 0.232	hartree
DFT total energy	-17558.3328	eV
2S+1	3

2.
Here is C20H37ClHfN3OP as an isolated structure in a non-equilibrium geometry from the Open Molecules 2025 dataset. Energies are from ωB97M-V with the def2-TZVPD basis set.

Cartesian coordinates (Å):
C (-0.918, 3.127, -3.347)
C (-1.638, 3.480, -4.647)
C (-1.963, 2.697, -2.280)
C (-0.219, 4.329, -2.680)
Cl (0.275, 1.939, -3.828)
H (-2.699, 3.526, -2.147)
H (-1.501, 2.518, -1.306)
H (-2.518, 1.789, -2.531)
H (-2.168, 4.406, -4.558)
H (-2.303, 2.639, -4.908)
H (-0.906, 3.571, -5.469)
H (-0.912, 5.187, -2.695)
H (0.710, 4.623, -3.191)
H (0.065, 4.104, -1.642)
C (-0.733, -2.708, 0.360)
C (-1.449, -1.906, 1.321)
C (-2.071, -0.819, 0.602)
H (-1.646, -2.190, 2.360)
C (-1.690, -0.908, -0.786)
C (-0.942, -2.127, -0.946)
H (-0.684, -2.604, -1.895)
H (-0.277, -3.687, 0.543)
H (-2.838, -0.149, 0.998)
H (-2.069, -0.287, -1.603)
C (1.593, 0.791, 1.996)
C (0.432, 0.318, 2.717)
C (-0.715, 0.960, 2.149)
H (0.454, -0.270, 3.636)
C (-0.291, 1.777, 1.045)
C (1.141, 1.698, 0.963)
H (1.776, 2.298, 0.308)
H (2.627, 0.631, 2.292)
H (-1.722, 0.942, 2.564)
H (-0.908, 2.502, 0.512)
Hf (0.290, -0.523, 0.524)
C (2.003, -4.034, -1.554)
N (2.396, -3.732, -0.167)
C (2.790, -4.911, 0.626)
P (3.091, -2.257, 0.075)
O (1.988, -1.209, -0.245)
N (3.545, -2.165, 1.631)
C (4.691, -1.325, 2.032)
C (2.539, -2.393, 2.692)
N (4.338, -1.930, -0.928)
C (5.514, -2.828, -1.033)
C (4.079, -1.185, -2.169)
H (1.350, -4.915, -1.535)
H (2.879, -4.259, -2.189)
H (1.443, -3.201, -1.994)
H (3.881, -4.962, 0.793)
H (2.274, -4.918, 1.599)
H (2.478, -5.804, 0.066)
H (4.380, -0.633, 2.833)
H (5.511, -1.954, 2.422)
H (5.068, -0.735, 1.178)
H (1.539, -2.599, 2.283)
H (2.842, -3.249, 3.312)
H (2.481, -1.508, 3.336)
H (5.279, -3.764, -1.576)
H (6.286, -2.297, -1.612)
H (5.932, -3.072, -0.046)
H (3.530, -1.790, -2.905)
H (3.525, -0.270, -1.945)
H (5.046, -0.915, -2.604)

Output
lowest unoccupied orbital energy	-7.68	eV
molar mass	580.45	g/mol
orbital gap	0.274	hartree
DFT total energy	-50964.2611	eV
charge	+2

3.
Here is C6H9NO2 as an isolated structure in a non-equilibrium geometry from the Open Molecules 2025 dataset. Energies are from ωB97M-V with the def2-TZVPD basis set.

Cartesian coordinates (Å):
C (0.176, 0.657, -0.429)
C (0.523, 1.694, 1.205)
C (-0.713, -0.264, 0.171)
N (1.728, 1.373, 1.753)
C (-1.104, -1.252, -1.337)
C (-1.571, -0.401, 1.162)
C (-0.261, -2.092, -1.926)
O (1.416, 0.202, -0.848)
O (-0.178, 2.573, 1.676)
H (1.727, 0.798, -1.547)
H (-0.285, 1.385, -1.095)
H (2.236, 0.576, 1.403)
H (2.096, 1.918, 2.524)
H (-2.166, -1.262, -1.580)
H (-2.316, -1.190, 1.149)
H (-1.511, 0.241, 2.036)
H (0.803, -2.088, -1.703)
H (-0.601, -2.867, -2.613)

Output
energy above the lowest of the compared OMol25 structures with the same formula, charge and spin	4.210	eV
lowest unoccupied orbital energy	0.52	eV
molar mass	127.14	g/mol
orbital gap	0.317	hartree
DFT total energy	-11949.1081	eV

4.
Here is F5NP2 as an isolated structure in a non-equilibrium geometry from the Open Molecules 2025 dataset. Energies are from ωB97M-V with the def2-TZVPD basis set.

Cartesian coordinates (Å):
N (-0.166, -0.466, 0.660)
F (1.472, 1.160, 0.798)
F (1.237, -0.547, 2.598)
F (-0.432, 1.254, -1.329)
└──
### Activity
The reader should say how many lines of the contents above hold the word "basis", as a bare number.
### Written answer
4